********
## NaIn3Pd6 (PBE-GGA)

Data for crystalline NaIn3Pd6 at its relaxed geometry.

Calculated values
Energy of formation from the pure elements: -0.35 eV/atom
Crystal system: orthorhombic

abc: 7.478 7.221 7.221
angles: 100.19 90.00 90.00
Sites, in units of the cell vectors:
Pd  0.133  0.777  0.643
Pd  0.293  0.078  0.423
Pd  0.633  0.223  0.357
Pd  0.731  0.029  0.971
Pd  0.633  0.643  0.777
Pd  0.133  0.357  0.223
Pd  0.293  0.577  0.922
Pd  0.793  0.423  0.078
Pd  0.793  0.922  0.577
Pd  0.231  0.971  0.029
Pd  0.111  0.729  0.271
Pd  0.611  0.271  0.729
In  0.351  0.462  0.538
In  0.947  0.062  0.291
In  0.947  0.709  0.938
In  0.447  0.938  0.709
In  0.447  0.291  0.062
In  0.851  0.538  0.462
Na  0.546  0.783  0.217
Na  0.046  0.217  0.783
********

Your job: transcribe the lines earlier on word for word.

## NaIn3Pd6 (PBE-GGA)

Data for crystalline NaIn3Pd6 at its relaxed geometry.

Calculated values
Energy of formation from the pure elements: -0.35 eV/atom
Crystal system: orthorhombic

abc: 7.478 7.221 7.221
angles: 100.19 90.00 90.00
Sites, in units of the cell vectors:
Pd  0.133  0.777  0.643
Pd  0.293  0.078  0.423
Pd  0.633  0.223  0.357
Pd  0.731  0.029  0.971
Pd  0.633  0.643  0.777
Pd  0.133  0.357  0.223
Pd  0.293  0.577  0.922
Pd  0.793  0.423  0.078
Pd  0.793  0.922  0.577
Pd  0.231  0.971  0.029
Pd  0.111  0.729  0.271
Pd  0.611  0.271  0.729
In  0.351  0.462  0.538
In  0.947  0.062  0.291
In  0.947  0.709  0.938
In  0.447  0.938  0.709
In  0.447  0.291  0.062
In  0.851  0.538  0.462
Na  0.546  0.783  0.217
Na  0.046  0.217  0.783